=====
{
  "formula": "C3S3",
  "method": "ωB97M-V/def2-TZVPD",
  "charge": -2,
  "gap_ha": 0.1907,
  "de_lowest_kcal_mol": 14.9,
  "smiles": "S=C([S-])C#C[S-]",
  "symbols": ["C", "C", "C", "S", "S", "S"],
  "coordinates": [[-0.094, 1.109, 0.526], [0.227, -1.390, -0.686], [-0.024, -0.263, -0.181], [0.201, -2.986, -1.178], [-1.702, 1.679, 0.677], [1.392, 1.851, 0.843]],
  "forces_ev_per_angstrom": [[-0.3, -2.9, -2.3], [-1.3, 2.7, 1.7], [1.0, -0.1, 0.2], [0.3, -0.2, -0.3], [0.5, 0.2, 0.4], [-0.3, 0.2, 0.3]],
  "lowdin_charge": [-1.461, -0.855, -0.320, 0.139, 0.237, 0.260]
}

----------

85
Properties=species:S:1:pos:R:3:forces:R:3 method="wB97M-V/def2-TZVPD" largest_force_ha_per_bohr=0.0143 s2=0.76 homo_lumo_gap_ev="7.6094 / 4.4317" charge=+1 spin_multiplicity=2 de_lowest_kcal_mol=13.9 e_tot_ha=-2655.28039
Rb 0.4930 -0.1450 -0.2202 0.1 -0.5 0.5
C 0.5582 -0.0745 4.7285 0.0 -0.1 0.0
C 0.9785 0.0352 3.3993 0.0 0.1 0.0
N 0.1323 -0.5593 2.5683 0.0 0.0 -0.1
N -0.8376 -1.0884 3.3414 0.0 -0.1 0.0
C -0.6020 -0.8075 4.6430 0.0 0.1 0.0
B -2.1298 -1.8191 2.8602 0.0 -0.1 0.0
N -1.9386 -2.6574 1.5545 0.1 0.0 0.0
C -2.6431 -3.7840 1.3073 0.0 0.1 0.0
C -2.2752 -4.2677 0.0721 0.0 0.0 0.1
C -1.3046 -3.3588 -0.3624 0.0 0.0 -0.1
N -1.1168 -2.3859 0.5207 0.1 0.1 -0.1
N -3.2481 -0.7683 2.6325 -0.1 -0.1 -0.2
C -4.3056 -0.3824 3.3774 0.2 0.1 0.1
C -4.9077 0.6865 2.7495 -0.1 -0.1 0.1
C -4.1484 0.8704 1.5914 0.0 -0.1 0.0
N -3.1547 -0.0068 1.5170 0.2 0.1 0.1
N -2.4585 -2.8457 3.9559 0.0 0.0 0.2
C -1.5768 -3.7882 4.3709 0.0 -0.1 0.0
C -2.2061 -4.5912 5.2884 0.1 0.0 -0.1
C -3.5035 -4.0572 5.3743 0.0 0.1 -0.1
N -3.6506 -3.0151 4.5742 -0.1 0.1 -0.1
H 1.0360 0.2963 5.6170 0.0 0.0 0.0
H 1.8603 0.5251 3.0119 0.0 0.0 0.0
H -1.2676 -1.1567 5.4132 0.0 0.0 0.0
H -3.3425 -4.1675 2.0305 0.0 0.0 0.0
H -2.6289 -5.1586 -0.4144 0.0 0.0 0.0
H -0.7326 -3.3715 -1.2798 0.0 0.0 0.0
H -4.5444 -0.9011 4.2850 0.0 -0.1 0.1
H -5.7749 1.2310 3.0772 0.0 0.0 0.0
H -4.2930 1.5958 0.8065 0.0 0.0 0.0
H -0.5744 -3.8178 3.9785 0.0 0.0 0.0
H -1.7939 -5.4335 5.8145 0.0 0.0 0.0
H -4.3309 -4.3852 5.9827 0.0 0.0 0.0
C -2.7356 3.0354 -1.1213 0.0 0.0 0.0
N -1.4300 2.3843 -1.3409 0.0 0.1 -0.1
P 0.0988 3.1093 -0.8903 0.0 0.2 0.0
C 0.0369 4.7541 -1.6456 0.0 0.0 0.0
C 0.8473 4.9771 -2.7574 0.0 0.0 0.0
C 0.7828 6.1817 -3.4438 0.0 0.0 0.0
C -0.0960 7.1673 -3.0220 0.0 0.0 0.0
C -0.9042 6.9569 -1.9102 0.0 0.0 0.0
C -0.8361 5.7585 -1.2202 0.0 0.0 0.0
C -0.1527 3.4060 0.8825 0.0 -0.1 0.0
C 0.4670 4.4976 1.4966 0.0 0.0 0.0
C 0.3218 4.6957 2.8600 0.0 0.0 0.0
C -0.4336 3.8102 3.6210 0.0 0.0 0.0
C -1.0286 2.7124 3.0208 0.0 0.0 0.0
C -0.8738 2.4979 1.6593 0.0 0.1 0.0
P -1.1394 1.4497 -2.6737 -0.1 -0.1 -0.1
C -1.0107 2.3250 -4.2279 0.0 0.1 0.0
C -2.0672 3.1387 -4.6463 0.0 0.0 0.0
C -1.9355 3.8763 -5.8099 0.0 0.0 0.0
C -0.7651 3.7949 -6.5558 0.0 0.0 0.0
C 0.2793 2.9804 -6.1439 0.0 0.0 0.0
C 0.1634 2.2488 -4.9723 0.0 0.0 0.0
C -2.2841 0.1233 -2.7456 0.0 0.0 0.0
C -2.7782 -0.4273 -1.5485 -0.1 0.1 -0.1
C -3.6948 -1.4587 -1.6076 0.0 0.0 0.0
C -4.0785 -1.9744 -2.8390 0.0 0.0 0.0
C -3.5503 -1.4645 -4.0286 0.0 0.0 0.1
C -2.6479 -0.4253 -3.9926 0.0 0.0 0.1
H -2.8012 3.3340 -0.0765 0.0 0.0 0.0
H -3.5363 2.3276 -1.3339 0.0 0.0 0.0
H -2.8408 3.9165 -1.7582 0.0 0.0 0.0
H 1.5359 4.2061 -3.0825 0.0 0.0 0.0
H 1.4211 6.3514 -4.3002 0.0 0.0 0.0
H -0.1470 8.1080 -3.5535 0.0 0.0 0.0
H -1.5819 7.7321 -1.5789 0.0 0.0 0.0
H -1.4525 5.6068 -0.3421 0.0 0.0 0.0
H 1.0464 5.2014 0.9124 0.0 0.0 0.0
H 0.7944 5.5484 3.3286 0.0 0.0 0.0
H -0.5479 3.9733 4.6842 0.0 0.0 0.0
H -1.6017 2.0021 3.6030 0.0 0.0 0.0
H -1.3465 1.6167 1.2408 -0.1 0.1 -0.1
H -2.9835 3.1944 -4.0711 0.0 0.0 0.0
H -2.7466 4.5112 -6.1388 0.0 0.0 0.0
H -0.6694 4.3712 -7.4660 0.0 0.0 0.0
H 1.1855 2.9189 -6.7304 0.0 0.0 0.0
H 0.9828 1.6254 -4.6365 0.0 0.0 0.0
H -2.4893 -0.0701 -0.5647 0.0 0.1 0.0
H -4.0826 -1.8681 -0.6843 0.0 0.0 0.0
H -4.7842 -2.7936 -2.8790 0.0 0.0 0.0
H -3.8535 -1.8822 -4.9786 0.0 0.0 0.0
H -2.2414 -0.0179 -4.9092 0.0 0.0 0.0

85
=====
Restate the block earlier on from the line with "-0.7326 -3.3715" to the end exactly, please.
H -0.7326 -3.3715 -1.2798 0.0 0.0 0.0
H -4.5444 -0.9011 4.2850 0.0 -0.1 0.1
H -5.7749 1.2310 3.0772 0.0 0.0 0.0
H -4.2930 1.5958 0.8065 0.0 0.0 0.0
H -0.5744 -3.8178 3.9785 0.0 0.0 0.0
H -1.7939 -5.4335 5.8145 0.0 0.0 0.0
H -4.3309 -4.3852 5.9827 0.0 0.0 0.0
C -2.7356 3.0354 -1.1213 0.0 0.0 0.0
N -1.4300 2.3843 -1.3409 0.0 0.1 -0.1
P 0.0988 3.1093 -0.8903 0.0 0.2 0.0
C 0.0369 4.7541 -1.6456 0.0 0.0 0.0
C 0.8473 4.9771 -2.7574 0.0 0.0 0.0
C 0.7828 6.1817 -3.4438 0.0 0.0 0.0
C -0.0960 7.1673 -3.0220 0.0 0.0 0.0
C -0.9042 6.9569 -1.9102 0.0 0.0 0.0
C -0.8361 5.7585 -1.2202 0.0 0.0 0.0
C -0.1527 3.4060 0.8825 0.0 -0.1 0.0
C 0.4670 4.4976 1.4966 0.0 0.0 0.0
C 0.3218 4.6957 2.8600 0.0 0.0 0.0
C -0.4336 3.8102 3.6210 0.0 0.0 0.0
C -1.0286 2.7124 3.0208 0.0 0.0 0.0
C -0.8738 2.4979 1.6593 0.0 0.1 0.0
P -1.1394 1.4497 -2.6737 -0.1 -0.1 -0.1
C -1.0107 2.3250 -4.2279 0.0 0.1 0.0
C -2.0672 3.1387 -4.6463 0.0 0.0 0.0
C -1.9355 3.8763 -5.8099 0.0 0.0 0.0
C -0.7651 3.7949 -6.5558 0.0 0.0 0.0
C 0.2793 2.9804 -6.1439 0.0 0.0 0.0
C 0.1634 2.2488 -4.9723 0.0 0.0 0.0
C -2.2841 0.1233 -2.7456 0.0 0.0 0.0
C -2.7782 -0.4273 -1.5485 -0.1 0.1 -0.1
C -3.6948 -1.4587 -1.6076 0.0 0.0 0.0
C -4.0785 -1.9744 -2.8390 0.0 0.0 0.0
C -3.5503 -1.4645 -4.0286 0.0 0.0 0.1
C -2.6479 -0.4253 -3.9926 0.0 0.0 0.1
H -2.8012 3.3340 -0.0765 0.0 0.0 0.0
H -3.5363 2.3276 -1.3339 0.0 0.0 0.0
H -2.8408 3.9165 -1.7582 0.0 0.0 0.0
H 1.5359 4.2061 -3.0825 0.0 0.0 0.0
H 1.4211 6.3514 -4.3002 0.0 0.0 0.0
H -0.1470 8.1080 -3.5535 0.0 0.0 0.0
H -1.5819 7.7321 -1.5789 0.0 0.0 0.0
H -1.4525 5.6068 -0.3421 0.0 0.0 0.0
H 1.0464 5.2014 0.9124 0.0 0.0 0.0
H 0.7944 5.5484 3.3286 0.0 0.0 0.0
H -0.5479 3.9733 4.6842 0.0 0.0 0.0
H -1.6017 2.0021 3.6030 0.0 0.0 0.0
H -1.3465 1.6167 1.2408 -0.1 0.1 -0.1
H -2.9835 3.1944 -4.0711 0.0 0.0 0.0
H -2.7466 4.5112 -6.1388 0.0 0.0 0.0
H -0.6694 4.3712 -7.4660 0.0 0.0 0.0
H 1.1855 2.9189 -6.7304 0.0 0.0 0.0
H 0.9828 1.6254 -4.6365 0.0 0.0 0.0
H -2.4893 -0.0701 -0.5647 0.0 0.1 0.0
H -4.0826 -1.8681 -0.6843 0.0 0.0 0.0
H -4.7842 -2.7936 -2.8790 0.0 0.0 0.0
H -3.8535 -1.8822 -4.9786 0.0 0.0 0.0
H -2.2414 -0.0179 -4.9092 0.0 0.0 0.0

85